Given
-- begin --
Computed, not measured: 4 unconnected molecules or ions with the total composition C41H78N4O11, with the ωB97M-V functional and the def2-TZVPD basis.

## Properties
Structure (SMILES): CCCCCCCCCCCCCCc1nc2c(CN)c(ON=O)c(CC)cc2nc1COCOCCO.COCCOC.COCCOC.COCCOC
E_HOMO: -8.512 eV
E_LUMO: -0.1 eV
Energy above the lowest of the compared OMol25 structures with the same formula, charge and spin: 24.29 kcal per mole

The geometry in ORCA input format:
```
! wB97M-V def2-TZVPD RIJCOSX def2/J DEFGRID3
* xyz 0 1
C -1.12 2.40 6.45
C -2.41 1.98 5.72
C -2.32 2.08 4.19
C -3.65 2.46 3.50
C -3.56 3.74 2.65
C -3.35 3.48 1.14
C -4.34 4.22 0.22
C -5.09 3.34 -0.79
C -4.23 2.37 -1.59
C -3.26 3.06 -2.56
C -2.31 2.04 -3.19
C -1.45 2.62 -4.31
C -0.08 1.94 -4.51
C -0.10 0.40 -4.36
C 0.17 -0.06 -2.95
N 1.20 0.47 -2.35
C 1.47 0.09 -1.07
C 2.59 0.63 -0.39
C 3.51 1.59 -1.09
N 4.69 0.94 -1.70
C 2.81 0.24 0.90
O 3.89 0.80 1.57
N 4.92 -0.14 1.99
O 5.04 -1.04 1.28
C 1.97 -0.68 1.60
C 2.27 -1.03 3.04
C 1.03 -1.22 3.91
C 0.92 -1.21 0.92
C 0.65 -0.85 -0.41
N -0.41 -1.42 -1.05
C -0.64 -1.05 -2.28
C -1.77 -1.73 -3.00
O -1.30 -2.57 -4.05
C -1.06 -3.90 -3.72
O -0.46 -3.97 -2.46
C 0.34 -5.09 -2.21
C 1.77 -4.66 -1.79
O 2.10 -3.37 -2.29
H -0.59 3.17 5.88
H -1.33 2.81 7.44
H -0.44 1.56 6.56
H -3.25 2.57 6.09
H -2.61 0.94 6.00
H -1.98 1.12 3.81
H -1.56 2.81 3.92
H -4.01 1.62 2.91
H -4.39 2.62 4.29
H -4.46 4.34 2.81
H -2.72 4.31 3.05
H -3.37 2.40 0.98
H -2.34 3.84 0.90
H -3.84 5.03 -0.30
H -5.09 4.69 0.85
H -5.64 3.97 -1.49
H -5.86 2.77 -0.25
H -3.63 1.74 -0.94
H -4.86 1.69 -2.18
H -3.81 3.61 -3.33
H -2.65 3.75 -1.97
H -2.94 1.25 -3.60
H -1.70 1.64 -2.38
H -1.31 3.69 -4.17
H -2.01 2.52 -5.25
H 0.67 2.37 -3.86
H 0.24 2.14 -5.53
H -1.05 0.02 -4.72
H 0.70 0.00 -4.98
H 2.96 2.12 -1.86
H 3.88 2.31 -0.36
H 4.49 -0.04 -1.87
H 5.47 0.96 -1.06
H 2.83 -0.20 3.47
H 2.90 -1.93 3.08
H 1.33 -1.59 4.89
H 0.50 -0.28 4.02
H 0.33 -1.95 3.49
H 0.25 -1.92 1.39
H -2.38 -2.26 -2.27
H -2.42 -1.00 -3.48
H -0.39 -4.29 -4.49
H -2.00 -4.48 -3.75
H 0.38 -5.76 -3.07
H -0.10 -5.66 -1.39
H 1.79 -4.60 -0.71
H 2.49 -5.39 -2.14
H 2.56 -3.47 -3.13
C 8.48 -0.01 6.51
O 7.64 -0.90 5.80
C 7.39 -0.50 4.46
C 8.22 -1.29 3.48
O 9.60 -1.01 3.61
C 10.32 -2.00 4.31
H 8.74 -0.50 7.45
H 9.39 0.21 5.95
H 7.96 0.92 6.73
H 7.57 0.57 4.34
H 6.33 -0.69 4.26
H 7.92 -1.01 2.46
H 8.03 -2.36 3.60
H 10.41 -2.91 3.71
H 9.84 -2.25 5.26
H 11.32 -1.61 4.51
C 4.46 -4.88 -5.07
O 3.23 -4.57 -5.70
C 3.36 -4.19 -7.06
C 2.99 -5.32 -7.99
O 3.90 -6.40 -7.90
C 3.42 -7.49 -7.14
H 4.22 -5.32 -4.10
H 5.06 -5.59 -5.64
H 5.05 -3.97 -4.91
H 4.38 -3.85 -7.27
H 2.68 -3.35 -7.23
H 3.02 -4.95 -9.02
H 1.97 -5.66 -7.79
H 2.63 -8.02 -7.67
H 3.05 -7.17 -6.17
H 4.26 -8.18 -6.99
C -10.09 3.82 4.49
O -10.44 3.61 3.14
C -10.06 4.68 2.28
C -8.81 4.35 1.49
O -7.68 4.24 2.33
C -7.31 2.90 2.60
H -10.26 2.89 5.02
H -9.03 4.10 4.59
H -10.71 4.60 4.94
H -9.91 5.60 2.85
H -10.89 4.84 1.58
H -8.62 5.16 0.78
H -8.96 3.43 0.92
H -6.87 2.43 1.71
H -8.15 2.30 2.95
H -6.54 2.92 3.38
*
```



Computed, not measured: 12 unconnected molecules or ions with the total composition C41H79N7O17 in a non-equilibrium geometry, with the ωB97M-V functional and the def2-TZVPD basis.

## Properties
E_HOMO (alpha / beta): -0.008 / -7.449 eV
E_LUMO (alpha / beta): 2.1 / 2.0 eV
Expectation value of S²: 0.75

The geometry in ORCA input format:
```
! wB97M-V def2-TZVPD RIJCOSX def2/J DEFGRID3
* xyz -1 2
C 3.13 -5.06 -2.51
C 1.72 -5.44 -1.98
O 1.06 -6.29 -2.58
N 1.31 -4.94 -0.80
C 2.08 -4.27 0.23
H 2.98 -4.29 -3.26
H 3.63 -5.95 -2.91
H 3.82 -4.67 -1.77
H 0.40 -5.21 -0.44
H 1.45 -4.03 1.08
H 2.33 -3.29 -0.17
H 2.96 -4.78 0.63
C -0.90 -3.71 3.66
C -0.11 -4.57 4.61
O 0.24 -4.19 5.70
N 0.21 -5.81 4.19
C -0.09 -6.54 2.97
H -0.91 -2.73 4.14
H -1.94 -4.02 3.73
H -0.49 -3.62 2.65
H 0.71 -6.37 4.86
H 0.54 -6.20 2.15
H -1.14 -6.41 2.69
H 0.11 -7.60 3.10
C 3.77 2.72 0.46
C 4.07 4.14 0.00
O 3.64 4.58 -1.07
N 5.03 4.80 0.68
C 5.47 6.15 0.55
H 3.02 2.22 -0.15
H 3.28 2.78 1.43
H 4.70 2.17 0.57
H 5.59 4.27 1.32
-- stop --
Brief
Quote the lines earlier on from the line with "-5.09 4.69" to the end without additions.
Solution
H -5.09 4.69 0.85
H -5.64 3.97 -1.49
H -5.86 2.77 -0.25
H -3.63 1.74 -0.94
H -4.86 1.69 -2.18
H -3.81 3.61 -3.33
H -2.65 3.75 -1.97
H -2.94 1.25 -3.60
H -1.70 1.64 -2.38
H -1.31 3.69 -4.17
H -2.01 2.52 -5.25
H 0.67 2.37 -3.86
H 0.24 2.14 -5.53
H -1.05 0.02 -4.72
H 0.70 0.00 -4.98
H 2.96 2.12 -1.86
H 3.88 2.31 -0.36
H 4.49 -0.04 -1.87
H 5.47 0.96 -1.06
H 2.83 -0.20 3.47
H 2.90 -1.93 3.08
H 1.33 -1.59 4.89
H 0.50 -0.28 4.02
H 0.33 -1.95 3.49
H 0.25 -1.92 1.39
H -2.38 -2.26 -2.27
H -2.42 -1.00 -3.48
H -0.39 -4.29 -4.49
H -2.00 -4.48 -3.75
H 0.38 -5.76 -3.07
H -0.10 -5.66 -1.39
H 1.79 -4.60 -0.71
H 2.49 -5.39 -2.14
H 2.56 -3.47 -3.13
C 8.48 -0.01 6.51
O 7.64 -0.90 5.80
C 7.39 -0.50 4.46
C 8.22 -1.29 3.48
O 9.60 -1.01 3.61
C 10.32 -2.00 4.31
H 8.74 -0.50 7.45
H 9.39 0.21 5.95
H 7.96 0.92 6.73
H 7.57 0.57 4.34
H 6.33 -0.69 4.26
H 7.92 -1.01 2.46
H 8.03 -2.36 3.60
H 10.41 -2.91 3.71
H 9.84 -2.25 5.26
H 11.32 -1.61 4.51
C 4.46 -4.88 -5.07
O 3.23 -4.57 -5.70
C 3.36 -4.19 -7.06
C 2.99 -5.32 -7.99
O 3.90 -6.40 -7.90
C 3.42 -7.49 -7.14
H 4.22 -5.32 -4.10
H 5.06 -5.59 -5.64
H 5.05 -3.97 -4.91
H 4.38 -3.85 -7.27
H 2.68 -3.35 -7.23
H 3.02 -4.95 -9.02
H 1.97 -5.66 -7.79
H 2.63 -8.02 -7.67
H 3.05 -7.17 -6.17
H 4.26 -8.18 -6.99
C -10.09 3.82 4.49
O -10.44 3.61 3.14
C -10.06 4.68 2.28
C -8.81 4.35 1.49
O -7.68 4.24 2.33
C -7.31 2.90 2.60
H -10.26 2.89 5.02
H -9.03 4.10 4.59
H -10.71 4.60 4.94
H -9.91 5.60 2.85
H -10.89 4.84 1.58
H -8.62 5.16 0.78
H -8.96 3.43 0.92
H -6.87 2.43 1.71
H -8.15 2.30 2.95
H -6.54 2.92 3.38
*
```



Computed, not measured: 12 unconnected molecules or ions with the total composition C41H79N7O17 in a non-equilibrium geometry, with the ωB97M-V functional and the def2-TZVPD basis.

## Properties
E_HOMO (alpha / beta): -0.008 / -7.449 eV
E_LUMO (alpha / beta): 2.1 / 2.0 eV
Expectation value of S²: 0.75

The geometry in ORCA input format:
```
! wB97M-V def2-TZVPD RIJCOSX def2/J DEFGRID3
* xyz -1 2
C 3.13 -5.06 -2.51
C 1.72 -5.44 -1.98
O 1.06 -6.29 -2.58
N 1.31 -4.94 -0.80
C 2.08 -4.27 0.23
H 2.98 -4.29 -3.26
H 3.63 -5.95 -2.91
H 3.82 -4.67 -1.77
H 0.40 -5.21 -0.44
H 1.45 -4.03 1.08
H 2.33 -3.29 -0.17
H 2.96 -4.78 0.63
C -0.90 -3.71 3.66
C -0.11 -4.57 4.61
O 0.24 -4.19 5.70
N 0.21 -5.81 4.19
C -0.09 -6.54 2.97
H -0.91 -2.73 4.14
H -1.94 -4.02 3.73
H -0.49 -3.62 2.65
H 0.71 -6.37 4.86
H 0.54 -6.20 2.15
H -1.14 -6.41 2.69
H 0.11 -7.60 3.10
C 3.77 2.72 0.46
C 4.07 4.14 0.00
O 3.64 4.58 -1.07
N 5.03 4.80 0.68
C 5.47 6.15 0.55
H 3.02 2.22 -0.15
H 3.28 2.78 1.43
H 4.70 2.17 0.57
H 5.59 4.27 1.32